Ways to Stop Snoring

Arrangement 1

RbCa2La after structural relaxation. Source: Alexandria, functional PBE-GGA.

The calculation puts the calculated density at 2.7 g cm⁻³. The total magnetization comes out at 0.00 μB per cell.

The structure belongs to space group I-42d (No. 122); the cell edges are 9.873, 9.873 and 7.554 Å and the angles 90.00°, 90.00° and 90.00°. The asymmetric unit holds Rb at (0.000, 0.000, 0.000), Ca at (0.250, 0.250, 0.125) and La at (0.000, 0.000, 0.500).

=====

Arrangement 2

RbCa2La after structural relaxation. Source: Alexandria, functional PBE-GGA.

The calculation puts the calculated density at 2.6 g cm⁻³. The total magnetization comes out at 0.01 μB per cell.

The structure belongs to space group P4/mmm (No. 123); the cell edges are 3.929, 3.929 and 12.506 Å and the angles 90.00°, 90.00° and 90.00°. The asymmetric unit holds Rb at (0.000, 0.000, 0.000), Ca at (0.500, 0.500, 0.289) and La at (0.000, 0.000, 0.500).

=====

Energetically preferred structure: arrangement 2 | next structure: +390 meV per atom

=====

Arrangement 1

CaLa4Re after structural relaxation. Source: Alexandria, functional PBE-GGA.

The calculation puts the calculated density at 7.1 g cm⁻³. The total magnetization comes out at 0.00 μB per cell.

The structure belongs to space group F-43m (No. 216); the cell edges are 8.998, 8.998 and 8.998 Å and the angles 90.00°, 90.00° and 90.00°. The asymmetric unit holds Ca at (0.000, 0.000, 0.000), La at (0.123, 0.123, 0.623) and Re at (0.250, 0.250, 0.250).

=====

Arrangement 2

CaLa4Re after structural relaxation. Source: Alexandria, functional PBE-GGA.

The calculation puts the calculated density at 6.1 g cm⁻³. The total magnetization comes out at 0.00 μB per cell.

The structure belongs to space group P2_1/m (No. 11); the cell edges are 6.299, 7.215 and 9.607 Å and the angles 90.00°, 102.39° and 90.00°. The asymmetric unit holds Ca at (0.209, 0.250, 0.447), La at (0.130, 0.250, 0.061), La at (0.219, 0.750, 0.321), La at (0.349, 0.508, 0.803) and Re at (0.319, 0.750, 0.052).

=====

Energetically preferred structure: arrangement 2 | next structure: +753 meV per atom

=====

Arrangement 1

CaLa3Re after structural relaxation. Source: Alexandria, functional PBE-GGA.

The calculation puts the calculated density at 5.7 g cm⁻³. The total magnetization comes out at 0.00 μB per cell.

The structure belongs to space group Pm-3m (No. 221); the cell edges are 5.708, 5.708 and 5.708 Å and the angles 90.00°, 90.00° and 90.00°. The asymmetric unit holds Ca at (0.000, 0.000, 0.000), La at (0.000, 0.500, 0.500) and Re at (0.500, 0.500, 0.500).

=====

Arrangement 2

CaLa3Re after structural relaxation. Source: Alexandria, functional PBE-GGA.

The calculation puts the calculated density at 6.1 g cm⁻³. The total magnetization comes out at 3.07 μB per cell.

Snoring is a harsh, rattling sound that occurs when airflow through the nose and mouth is partially blocked during sleep. It causes tissues in the throat and nasal passages to vibrate, which can make loved ones irritable and sleepy the next day. Most people snore occasionally, but for some people it is a habit that interferes with ways to stop snoring and can lead to more serious health problems. If you are a snorer, there are ways to stop the noise, including lifestyle changes, devices and medical treatments.

Unrelated to this page: materials data:
# Y2MoC2

A relaxed structure of Y2MoC2 (PBE, the Alexandria database).

Results
Raw total energy (eV/atom): -8.757
Energy relative to the elements (eV/atom): -0.32
E above lowest polymorph (eV/atom): 0.000

Cell and atoms, written as CIF:
```
data_Y2MoC2
_symmetry_space_group_name_H-M 'P n m a'
_symmetry_Int_Tables_number 62
_symmetry_space_group_name_Hall '-P 2ac 2n'
_cell_length_a 6.674
_cell_length_b 5.133
_cell_length_c 10.014
_cell_angle_alpha 90.00
_cell_angle_beta 90.00
_cell_angle_gamma 90.00
loop_
_atom_site_label
_atom_site_fract_x
_atom_site_fract_y
_atom_site_fract_z
_atom_site_occupancy
Y1 0.044 0.250 0.220 1
Y2 0.175 0.250 0.559 1
Mo1 0.211 0.250 0.870 1
C1 0.060 0.750 0.242 1
C2 0.178 0.750 0.552 1
```


# Nd4SnPbC

An optimized crystal structure of Nd4SnPbC (PBE, the Alexandria database).

Cell and atoms, written as POSCAR:
```
Nd4SnPbC
1.0
3.549 -8.321 0.000
3.549 8.321 0.000
0.000 0.000 7.092
Nd Sn Pb C
8 2 2 2
direct
0.000 0.500 0.000
0.000 0.500 0.500
0.087 0.913 0.750
0.411 0.589 0.750
0.500 0.000 0.000
0.500 0.000 0.500
0.589 0.411 0.250
0.913 0.087 0.250
0.111 0.889 0.250
0.889 0.111 0.750
0.391 0.609 0.250
0.609 0.391 0.750
0.250 0.750 0.750
0.750 0.250 0.250
```

Computed properties:
The space-group type is Cmcm, No. 63. The energy of formation from the pure elements is -0.48 eV per atom. For the total magnetization, the calculation gives 0.000 μB/atom. As for the raw total energy: -5.63 eV per atom. Its crystal system is orthorhombic.


(1)
The following is a DFT calculation (PBE-GGA) of crystalline GePd at its relaxed geometry.

## Properties
The formation enthalpy at 0 K is -0.1335 eV/atom. For the volume, the calculation gives 35.3 Å³ per cell. The calculation puts the density of states at the Fermi level at 1.51 states/eV/cell. As for the calculated total energy: -10.08 eV/cell.

abc: 3.681 3.681 3.681
angles: 60.00 60.00 60.00
Fractional positions:
Ge: 0.000 0.000 0.000
Pd: 0.500 0.500 0.500

***

(2)
The following is a DFT calculation (PBE-GGA) of crystalline CeAgH6Ru at its relaxed geometry.

## Properties
For the volume, the calculation gives 87.3 Å³ per cell. The calculation puts the density of states at the Fermi level at 5.52 states/eV/cell. As for the calculated total energy: -39.65 eV/cell.

abc: 4.812 4.812 4.355
angles: 90.00 90.00 120.00
Fractional positions:
Ce: 0.000 0.000 0.000
Ag: 0.667 0.333 0.500
H: 0.043 0.522 0.221
H: 0.043 0.522 0.779
H: 0.478 0.522 0.221
H: 0.478 0.522 0.779
H: 0.478 0.957 0.221
H: 0.478 0.957 0.779
Ru: 0.333 0.667 0.500

***

(3)
The following is a DFT calculation (PBE-GGA) of crystalline Zn3AgSn at its relaxed geometry.

## Properties
The energy above the most stable polymorph in this dataset comes out at 0.00 eV per formula unit. The formation enthalpy at 0 K is 0.3793 eV/atom. For the volume, the calculation gives 116.5 Å³ per cell. The calculation puts the density of states at the Fermi level at 1.77 states/eV/cell. As for the calculated total energy: -8.78 eV/cell.
Back to the page:

The most common way to reduce snoring is to lose weight, exercise and avoid alcohol and smoking. Exercising helps with weight loss and tones muscles in the body, including those that keep the throat from collapsing when breathing. Avoiding large meals close to bedtime, avoiding dairy products before sleep and lowering intake of sedative medications, can also help prevent snoring.

In addition, rinsing sinuses with saline solution before going to sleep can help clear nasal passages. Using a neti pot, nasal decongestants or nasal strips may also alleviate congestion and decrease snoring. Allergic reactions to dust mites, pet dander and other allergens can also cause snoring and are treated with allergy medication. Keeping the bedroom humid by running a humidifier can keep mucus thin, which can lessen snoring.

Changing sleeping positions can also reduce snoring. Specifically, sleeping on your side instead of on your back improves breathing because the air is less turbulent. Positioning “bumper” devices–air or foam-filled belts, vests and shirts that are worn while you sleep on your back–and electronic necklaces that vibrate gently while you are sleeping on your back can also help. Elevating the head of the bed with additional pillows can open up the airways and reduce snoring. There are special snore pillows available, but an ordinary pillow can work just as well.

Getting more restful sleep can be a challenge for both the snorer and those who share the same room, but making simple lifestyle modifications and trying some natural remedies can be a great place to start. Even if it does not completely eliminate snoring, it can provide a better night’s sleep for everyone in the house and help prevent the resentment that often accompanies snoring. If your snoring persists, talk to your doctor or an ear, nose and throat (ENT) specialist about treatment options. The best approach is to find the right combination of lifestyle changes, devices and/or medical treatments for your snoring problem. Various surgical procedures are also available if other approaches don’t work for you.